"The First Latino 'Bachelor' Makes His Debut"

# Materials data that have nothing to do with the piece
'''
# LaHo4Se5
Simulated powder X-ray diffraction pattern, Cu Kα X-rays. Input: the PBE geometry in Alexandria.

The 10 most intense peaks (10° ≤ 2θ ≤ 90°), in order of rising 2θ:
2θ (°)  I (rel.)
26.5  105
26.6  102
30.8  1000
43.9  120
44.1  494
44.3  124
54.5  127
54.9  131
72.7  219
80.8  118

Atomic structure:
```
LaHo4Se5
1.0
-2.0452 2.9095 10.3099
2.0452 -2.9095 10.3099
2.0452 2.9095 -10.3099
La Ho Se
1 4 5
Cartesian
0.0000 0.0000 0.0000
0.0000 0.0000 4.1934
0.0000 0.0000 8.2701
0.0000 0.0000 12.3497
0.0000 0.0000 16.4265
2.0452 0.0000 2.2207
2.0452 0.0000 6.2228
0.0000 2.9095 0.0000
0.0000 2.9095 4.0871
0.0000 2.9095 8.0893
```

---

# La3HoSe4
Simulated powder X-ray diffraction pattern, Cu Kα X-rays. Input: the PBE geometry in Alexandria.

The 10 most intense peaks (10° ≤ 2θ ≤ 90°), in order of rising 2θ:
2θ (°)  I (rel.)
25.7  117
29.7  1000
42.4  374
42.6  248
42.8  122
52.4  66
52.7  66
52.9  129
61.8  80
69.7  110

Atomic structure:
```
La3HoSe4
1.0
7.4055 0.0000 0.0000
0.0000 8.4509 0.0000
-2.4382 0.0000 6.9437
La Ho Se
6 2 8
Cartesian
-0.6096 1.0465 1.7359
-1.8287 3.1599 5.2078
-0.6096 5.2910 1.7359
-1.8287 7.4044 5.2078
1.8741 1.0567 5.2078
3.0932 7.3942 1.7359
3.0932 3.1600 1.7359
1.8741 5.2909 5.2078
1.8894 1.1212 0.0558
0.6702 7.3297 3.5277
0.7400 3.2351 3.4701
-0.4791 5.2158 6.9420
5.4464 3.2351 0.0017
4.2273 5.2158 3.4736
4.2971 1.1212 3.4160
3.0779 7.3297 6.8879
```

---

# LaHo2Se4
Simulated powder X-ray diffraction pattern, Cu Kα X-rays. Input: the PBE geometry in Alexandria.

The 10 most intense peaks (10° ≤ 2θ ≤ 90°), in order of rising 2θ:
2θ (°)  I (rel.)
23.4  962
29.0  400
29.7  260
30.4  879
32.4  1000
39.9  612
42.4  304
44.5  569
45.0  760
65.1  312

Atomic structure:
```
LaHo2Se4
1.0
2.0360 -6.7166 0.0000
2.0360 6.7166 0.0000
0.0000 0.0000 13.8533
La Ho Se
2 4 8
Cartesian
2.0360 5.0879 10.3900
2.0360 -5.0879 3.4633
2.0360 1.7587 7.8386
2.0360 1.7587 12.9414
2.0360 -1.7587 0.9120
2.0360 -1.7587 6.0147
0.0000 0.0000 0.0000
0.0000 0.0000 6.9267
2.0360 3.0621 1.6530
2.0360 3.0621 5.2737
2.0360 0.5953 10.3900
2.0360 -0.5953 3.4633
2.0360 -3.0621 8.5796
2.0360 -3.0621 12.2004
```

---

# LaHo6Se8
Simulated powder X-ray diffraction pattern, Cu Kα X-rays. Input: the PBE geometry in Alexandria.

The 10 most intense peaks (10° ≤ 2θ ≤ 90°), in order of rising 2θ:
2θ (°)  I (rel.)
15.4  61
21.9  53
26.9  144
31.1  1000
44.6  733
52.9  77
55.4  255
64.9  117
73.8  320
82.2  240

Atomic structure:
```
LaHo6Se8
1.0
0.0000 5.7436 5.7436
5.7436 0.0000 5.7436
5.7436 5.7436 0.0000
La Ho Se
1 6 8
Cartesian
0.0000 0.0000 0.0000
2.8718 2.8718 0.0000
2.8718 0.0000 2.8718
5.7436 2.8718 2.8718
0.0000 2.8718 2.8718
2.8718 5.7436 2.8718
2.8718 2.8718 5.7436
2.8718 2.8718 2.8718
5.7436 5.7436 3.0205
5.7436 3.0205 5.7436
8.4667 5.7436 5.7436
3.0205 5.7436 5.7436
5.7436 8.4667 5.7436
5.7436 5.7436 8.4667
8.6154 8.6154 8.6154
```

---

# LaHoSe3
Simulated powder X-ray diffraction pattern, Cu Kα X-rays. Input: the PBE geometry in Alexandria.
'''


Last night was the season premier of, wait for it, "The Bachelor." Yes, it is back for another season, the 18th, in fact. The reality show where a single guy gets to choose a potential wife from a couple dozen women - and this season's single guy is Latino, the first bachelor of color in the show's history. NPR's Shereen Marisol Meraji has the story.

SHEREEN MARISOL MERAJI, BYLINE: ABC is calling this month Juan-uary after "The Bachelor"'s new star, Juan Pablo Galavis.



UNIDENTIFIED WOMAN: He's so cute. Oh, my god, I'm gonna die.

MERAJI: Yeah. And he is one in a million, ladies. According to the show's promos, he's totally Juan-derful. Alex Nogales runs the National Hispanic Media Coalition, a group working to put more Latinos in front of and behind the camera, and he says it's about time the show diversified its starting lineup.

ALEX NOGALES: "Bachelor" and "Bachelorette," I think, is trite and frivolous and you have all these people crying melodramatically and so forth. Having said that, how we are perceived is always going to be the way that we're treated. If we're not even visible, it's even worse.

MERAJI: The show's producers have been called out in the press repeatedly for "The Bachelor"'s lack of diversity. ABC faced a class action suit last year lead by two African-American men who auditioned and claimed they were treated unfairly based on race. And at first glance, Nogales says, Juan Pablo Galavis does look like every other bachelor.

NOGALES: He's a very good looking, athletically built and engaging fellow who happens to be very light-complected.

MERAJI: Light-complected with light brown hair and light eyes. Critics of the choice vocal in the blogosphere and on social media said he's just another white guy. Michelle Herrera Mulligan, editor and chief of Cosmo for Latinas, says it's more nuanced than that.

**What comes next are calculated crystals, not part of the piece:**
____________
For SrZrS2F, a cell relaxed with GGA-PBE gives the computed powder diffractogram in this record (Cu Ka).

Crystal structure
```
SrZrS2F
1.0
3.823 0.000 0.000
0.000 3.823 0.000
0.000 0.000 13.637
Sr Zr S F
2 2 4 2
direct
0.250 0.250 0.113 Sr
0.750 0.750 0.887 Sr
0.250 0.250 0.601 Zr
0.750 0.750 0.399 Zr
0.250 0.250 0.402 S
0.250 0.250 0.780 S
0.750 0.750 0.220 S
0.750 0.750 0.598 S
0.250 0.750 0.000 F
0.750 0.250 0.000 F
```
____________
**End of the calculated crystals:**

MICHELLE HERRERA MULLIGAN: I could see why people would take issue with that notion that he's the first non-white bachelor to be on there, but I do think that he is absolutely the first non sort of quote-unquote culturally white bachelor to be one there.

MERAJI: Herrera Mulligan says ABC made an interesting choice. Yeah, Galavis may look white, but he's bilingual and bicultural, born here, raised in Venezuela. He played soccer professionally, speaks with an accent...

JUAN PABLO GALAVIS: I'm taking the risk of not spending time with my daughter to be here...

MERAJI: ...and has a daughter, a nod to the importance of family in Latino culture. But most importantly, she says, he's the star of the show.

MULLIGAN: We're either like the funny best friend with a mom with a funny accent, or we're frankly the help. And then that, to me, in this, you know, 2014, it seems like a dangerously antiquated view of who we are.

MERAJI: Alex Nogales from the National Hispanic Media Coalition says ABC is taking a step in the right direction, but...

NOGALES: The largest Latino group residing here in the United States are Mexicans and Mexican-Americans. I mean we're 70 percent of that group that is called Latino.

MERAJI: And he says a majority of those Mexicans and Mexican-Americans are mestizos, mixed with indigenous and Spanish blood. They're brown and deserve to be Bachelors and Bachelorettes too.

NOGALES: And they've got to include everybody, African-Americans as well as Latinos of every coloration. And forget this bull (bleep) of, you know, we can't find any. They're there.

MERAJI: Nogales says he hopes ABC won't end this season of "The Bachelor" and go back to business as usual. He's expecting more than a Juan-off. Shereen Marisol Meraji, NPR News.